### Entries
/*
Diffraction record for Ag7IF5. The powder diffractogram is calculated, not measured: it uses DFT lattice parameters and positions (PBE) and CuKα.
Intensities are scaled so that the largest is 100.

Atomic structure:
Lattice parameters (Å, degrees): 3.737 6.451 20.282 90.03 90.07 106.29
Space group P1 (No. 1)
Asymmetric unit:
Ag 0.000 0.000 0.000 (multiplicity 1)
Ag 0.003 0.999 0.501 (multiplicity 1)
Ag 0.045 0.080 0.738 (multiplicity 1)
Ag 0.222 0.425 0.305 (multiplicity 1)
Ag 0.233 0.445 0.443 (multiplicity 1)
Ag 0.343 0.684 0.125 (multiplicity 1)
Ag 0.368 0.727 0.630 (multiplicity 1)
Ag 0.429 0.866 0.889 (multiplicity 1)
Ag 0.596 0.161 0.377 (multiplicity 1)
Ag 0.653 0.304 0.124 (multiplicity 1)
Ag 0.682 0.353 0.619 (multiplicity 1)
Ag 0.781 0.561 0.944 (multiplicity 1)
Ag 0.819 0.633 0.807 (multiplicity 1)
Ag 0.995 0.990 0.245 (multiplicity 1)
I 0.103 0.227 0.869 (multiplicity 1)
I 0.919 0.795 0.374 (multiplicity 1)
F 0.002 0.001 0.124 (multiplicity 1)
F 0.022 0.034 0.621 (multiplicity 1)
F 0.350 0.699 0.018 (multiplicity 1)
F 0.365 0.718 0.232 (multiplicity 1)
F 0.373 0.729 0.521 (multiplicity 1)
F 0.395 0.784 0.738 (multiplicity 1)
F 0.628 0.262 0.016 (multiplicity 1)
F 0.648 0.285 0.233 (multiplicity 1)
F 0.656 0.297 0.513 (multiplicity 1)
F 0.680 0.360 0.726 (multiplicity 1)

Most intense lines, 10° ≤ 2θ ≤ 90°, sorted by position:
index, 2θ/deg, Rel. int.
0 1 -6, 30.12, 65
-1 1 4, 30.64, 45
1 1 1, 32.47, 88
-1 2 1, 32.78, 64
*/
### Assignment
Return the rows above from the first line to the one with "0.781 0.561" character by character.
### Worked solution
Diffraction record for Ag7IF5. The powder diffractogram is calculated, not measured: it uses DFT lattice parameters and positions (PBE) and CuKα.
Intensities are scaled so that the largest is 100.

Atomic structure:
Lattice parameters (Å, degrees): 3.737 6.451 20.282 90.03 90.07 106.29
Space group P1 (No. 1)
Asymmetric unit:
Ag 0.000 0.000 0.000 (multiplicity 1)
Ag 0.003 0.999 0.501 (multiplicity 1)
Ag 0.045 0.080 0.738 (multiplicity 1)
Ag 0.222 0.425 0.305 (multiplicity 1)
Ag 0.233 0.445 0.443 (multiplicity 1)
Ag 0.343 0.684 0.125 (multiplicity 1)
Ag 0.368 0.727 0.630 (multiplicity 1)
Ag 0.429 0.866 0.889 (multiplicity 1)
Ag 0.596 0.161 0.377 (multiplicity 1)
Ag 0.653 0.304 0.124 (multiplicity 1)
Ag 0.682 0.353 0.619 (multiplicity 1)
Ag 0.781 0.561 0.944 (multiplicity 1)